Job >
Next, echo every line further down that contains the word "Formula".
Listing >
┌──
Entry 1:
Formula: C6H15NO
Source: the OMol25 dataset
Level of theory: the ωB97M-V functional and the def2-TZVPD basis

```
23
Properties=species:S:1:pos:R:3:nbo_charge:R:1
C 1.93 2.33 -0.58 -0.644
C 0.78 1.80 0.25 -0.176
C 0.82 0.61 0.84 -0.210
C -0.26 0.15 1.73 -0.452
C -1.58 -0.33 1.08 -0.393
C -1.45 -1.35 -0.08 -0.228
N -1.03 -0.76 -1.35 -0.861
H 2.66 1.52 -0.53 0.213
H 1.69 2.73 -1.55 0.219
H 2.38 3.18 -0.06 0.217
H -0.12 2.41 0.28 0.194
H 1.59 -0.13 0.67 0.197
H -0.45 0.94 2.47 0.218
H 0.00 -0.74 2.32 0.207
H -2.14 0.53 0.70 0.185
H -2.23 -0.72 1.87 0.208
H -0.75 -2.10 0.28 0.188
H -2.47 -1.70 -0.22 0.198
H -0.40 0.02 -1.16 0.366
H -1.77 -0.24 -1.82 0.357
O 1.09 -3.05 -1.79 -0.950
H 0.25 -2.67 -2.10 0.489
H 1.47 -2.41 -1.22 0.460
```

Values from the calculation:
energy	-367.563072	Ha
2S+1	1
net charge	0
highest occupied orbital energy	-0.339	hartree
energy above the lowest of the compared OMol25 structures with the same formula, charge and spin	42.8	kcal per mole

***

Entry 2:
Formula: C6H15NO
Source: the OMol25 dataset
Level of theory: the ωB97M-V functional and the def2-TZVPD basis

```
23
Properties=species:S:1:pos:R:3:nbo_charge:R:1
C 2.23 -2.63 -0.43 -0.187
O 1.94 -2.39 -2.05 -0.709
C 1.02 -2.07 0.29 -0.414
C 0.84 -0.58 -0.01 -0.406
C -0.45 -0.01 0.53 -0.417
C -0.70 1.44 0.17 -0.280
N -2.41 1.62 0.13 -0.596
C -2.56 3.07 0.29 -0.438
H 2.33 -3.71 -0.36 0.214
H 3.23 -2.39 -0.04 0.209
H 2.68 -2.03 -1.49 0.445
H 1.12 -2.15 1.38 0.208
H 0.19 -2.69 -0.06 0.225
H 0.78 -0.52 -1.10 0.222
H 1.72 0.01 0.27 0.194
H -0.49 -0.13 1.61 0.205
H -1.32 -0.56 0.15 0.222
H -0.49 2.11 1.01 0.206
H -0.11 1.80 -0.68 0.196
H -1.83 1.44 -0.64 0.354
H -1.84 3.47 1.02 0.167
H -2.33 3.61 -0.63 0.175
H -3.56 3.29 0.64 0.206
```

Values from the calculation:
energy	-367.379057	Ha
2S+1	1
net charge	0
highest occupied orbital energy	-0.349	hartree
energy above the lowest of the compared OMol25 structures with the same formula, charge and spin	158.3	kcal per mole

***

Entry 3:
Formula: C6H15NO
Source: the OMol25 dataset
Level of theory: the ωB97M-V functional and the def2-TZVPD basis

```
23
Properties=species:S:1:pos:R:3:nbo_charge:R:1
C 1.86 1.09 -0.39 -0.621
C 1.15 -0.20 0.04 -0.046
C 2.09 -1.04 0.92 -0.600
N -0.07 0.04 0.79 -0.657
C -1.37 -0.02 0.14 0.408
C -1.58 1.07 -0.93 -0.649
C -1.61 -1.41 -0.46 -0.631
O -2.35 0.13 1.15 -0.714
H 2.76 0.86 -0.94 0.211
H 2.13 1.67 0.49 0.198
H 1.21 1.70 -1.02 0.208
H 0.90 -0.79 -0.85 0.191
H 2.36 -0.48 1.82 0.200
H 3.00 -1.29 0.38 0.199
H 1.59 -1.95 1.22 0.216
H 0.01 0.88 1.34 0.349
H -1.40 2.06 -0.50 0.200
H -2.60 1.03 -1.29 0.219
H -0.90 0.92 -1.77 0.205
H -1.07 -1.54 -1.39 0.204
H -1.29 -2.16 0.26 0.225
H -2.67 -1.52 -0.65 0.225
H -2.18 0.94 1.63 0.460
```

Values from the calculation:
energy	-367.601313	Ha
2S+1	1
net charge	0
highest occupied orbital energy	-0.318	hartree
energy above the lowest of the compared OMol25 structures with the same formula, charge and spin	18.8	kcal per mole

***

Entry 4:
Formula: C6H15NO
Source: the OMol25 dataset
Level of theory: the ωB97M-V functional and the def2-TZVPD basis

```
23
Properties=species:S:1:pos:R:3:nbo_charge:R:1
C -2.06 -0.69 0.14 -0.217
C -1.19 0.00 1.20 -0.454
C 0.20 0.29 0.64 0.149
C 1.04 -0.80 0.37 -0.241
C 2.47 -0.64 0.01 -0.655
C 0.82 1.65 0.54 -0.678
N -2.31 0.28 -0.90 -0.916
H -3.00 -1.05 0.57 0.205
H -1.55 -1.57 -0.29 0.178
H -1.63 0.95 1.53 0.228
H -0.99 -0.54 2.15 0.219
H 0.87 -1.72 0.95 0.239
H 2.90 -1.58 -0.35 0.228
H 3.06 -0.31 0.87 0.221
H 2.60 0.09 -0.78 0.261
H 0.38 2.37 1.25 0.241
H 0.49 2.15 -0.39 0.283
H 1.89 1.57 0.65 0.226
H -3.24 0.42 -1.25 0.375
H -1.54 0.28 -1.59 0.428
H 0.18 -0.41 -0.60 0.434
H 0.29 -0.78 -2.63 0.438
O 0.33 0.02 -2.09 -1.192
```

Values from the calculation:
energy	-367.465513	Ha
2S+1	1
net charge	0
highest occupied orbital energy	-0.302	hartree
energy above the lowest of the compared OMol25 structures with the same formula, charge and spin	104.0	kcal per mole

***

Entry 5:
Formula: C6H15NO
└──
Completed >
Formula: C6H15NO
Formula: C6H15NO
Formula: C6H15NO
Formula: C6H15NO
Formula: C6H15NO